“Pleased to welcome you in our structure,
here you will find what you are looking for!”
This is the first message with which customers are greeted and it is the hall of your hotel that gives it, the entrance door of your entire structure. The business card that allows the customer to immediately get a first impression of the place where he is about to be welcomed.

That’s why this environment must be carefully studied and organized, both for the reception and for the services, such as information and understanding of the spaces.
The space must be perceived as large but not dispersive, formal but warm, confidential and welcoming.

To give this perception, it is important to have a project that proposes studied furnishings and lighting capable of making all these messages read correctly, lighting that blends with the furnishings themselves, not a technological foreign body but an integral part of the reassuring message.

For example, light allows the correct perception of the hierarchy of spaces, for example as soon as the customer enters he must immediately understand who to contact for information, that is, light will direct attention towards the counter where the customer will receive all attention.
Always the light will then be able to underline that in another part of the hall there will be comfortable
armchairs for waiting, meeting friends or customers, a lighting therefore that puts those present at ease but also offers the right level of illumination to create attention.
In any case, artificial light must always relate to the natural light present in order not to create annoying overlighting, shadows or glare.

**What comes next are data records, not part of the entry:**
(1)
A plane-wave DFT calculation with PBE+U was carried out for an optimized crystal structure of MnAg4P6H6O18.

The structure in POSCAR format:
```
MnAg4P6H6O18
1.0
6.629 0.000 0.000
3.287 8.311 0.000
1.336 0.313 9.013
O P Ag H Mn
18 6 4 6 1
Direct
0.706 0.393 0.685 O
0.869 0.615 0.629 O
0.351 0.400 0.121 O
0.131 0.385 0.371 O
0.451 0.141 0.274 O
0.971 0.612 0.187 O
0.696 0.309 0.253 O
0.421 0.223 0.542 O
0.320 0.844 0.972 O
0.029 0.388 0.813 O
0.579 0.777 0.458 O
0.304 0.691 0.747 O
0.850 0.893 0.535 O
0.549 0.859 0.726 O
0.680 0.156 0.028 O
0.150 0.107 0.465 O
0.649 0.600 0.879 O
0.294 0.607 0.315 O
0.434 0.750 0.834 P
0.821 0.484 0.750 P
0.290 0.208 0.426 P
0.566 0.250 0.166 P
0.179 0.516 0.250 P
0.710 0.792 0.574 P
0.782 0.190 0.499 Ag
0.645 0.592 0.247 Ag
0.355 0.408 0.753 Ag
0.218 0.810 0.501 Ag
0.083 0.127 0.078 H
0.976 0.945 0.227 H
0.917 0.873 0.922 H
0.024 0.055 0.773 H
0.057 0.123 0.796 H
0.943 0.877 0.204 H
0.000 0.000 0.000 Mn
```

Calculated values
Formation energy from the elements, eV per atom: -1.62

(2)
A plane-wave DFT calculation with PBE+U was carried out for an optimized crystal structure of FeO2.

The structure in POSCAR format:
```
FeO2
1.0
3.036 0.000 0.000
0.000 4.653 0.000
0.000 0.000 9.476
Fe O
4 8
Direct
0.250 0.506 0.639 Fe
0.750 0.494 0.361 Fe
0.250 0.994 0.139 Fe
0.750 0.006 0.861 Fe
0.250 0.239 0.786 O
0.750 0.303 0.540 O
0.250 0.803 0.960 O
0.250 0.697 0.460 O
0.750 0.739 0.714 O
0.750 0.197 0.040 O
0.750 0.761 0.214 O
0.250 0.261 0.286 O
```

Calculated values
Formation energy from the elements, eV per atom: -1.22

(3)
A plane-wave DFT calculation with PBE+U was carried out for an optimized crystal structure of Cs4Rb2Fe2O5.

The structure in POSCAR format:
```
Cs4Rb2Fe2O5
1.0
2.833 2.503 -6.261
4.913 -5.476 0.546
-7.569 -7.428 -6.394
Cs Fe O Rb
8 4 10 4
Direct
0.000 0.500 0.744 Cs
0.314 0.658 0.000 Cs
0.314 0.158 0.500 Cs
0.000 0.000 0.244 Cs
0.686 0.342 0.000 Cs
0.000 0.500 0.256 Cs
0.000 0.000 0.756 Cs
0.686 0.842 0.500 Cs
0.808 0.807 0.000 Fe
0.192 0.193 0.000 Fe
0.192 0.693 0.500 Fe
0.808 0.307 0.500 Fe
0.000 0.500 0.500 O
0.284 0.791 0.367 O
0.000 0.000 0.000 O
0.284 0.291 0.867 O
0.284 0.291 0.133 O
0.284 0.791 0.633 O
0.716 0.709 0.133 O
0.716 0.209 0.633 O
0.716 0.709 0.867 O
0.716 0.209 0.367 O
0.500 0.000 0.220 Rb
0.500 0.500 0.280 Rb
0.500 0.000 0.780 Rb
0.500 0.500 0.720 Rb
```

Calculated values
Formation energy from the elements, eV per atom: -1.42

(4)
A plane-wave DFT calculation with PBE+U was carried out for an optimized crystal structure of Li9Mn2Co5O16.

The structure in POSCAR format:
```
Li9Mn2Co5O16
1.0
4.986 0.000 0.000
0.121 5.933 0.000
1.870 0.236 9.631
Li Co O Mn
9 5 16 2
Direct
0.751 0.745 0.247 Li
0.248 0.745 0.754 Li
0.752 0.255 0.246 Li
0.747 0.005 0.754 Li
0.000 0.500 0.000 Li
0.758 0.496 0.756 Li
0.253 0.995 0.246 Li
0.249 0.255 0.753 Li
0.242 0.504 0.244 Li
0.999 0.753 0.501 Co
0.500 0.258 0.000 Co
0.500 0.742 0.000 Co
0.500 0.000 0.500 Co
0.001 0.247 0.499 Co

Therefore, in order to correctly illuminate the hall of your hotel, it is important that you consider various levels of illumination:
Ambient lighting
Designed to create a general atmosphere of well-being and tranquillity, in particular through the use of suspended lamps, such as COMETA, CRISTALLO, GAMMA according to the type of furniture, which fit correctly into the rooms;

• Materials data that have nothing to do with the text:
____________
(1)
BaCaBiSbO6 | PBE | relaxed

Values from the calculation:
* relative energy among the computed polymorphs: 105.6 meV/atom
* DFT formation energy: -2.33 eV per atom
* total magnetization: 0.00 μB/cell
* MP2020-corrected energy: -64.95 eV/cell
* space-group type: F-43m (216)

Cell lengths 6.0719, 6.0719, 6.0719 Å; angles 60.00, 60.00, 60.00 degrees
Element x y z (fractional)
Ba1 0.0000 0.0000 0.0000
Ca1 0.5000 0.5000 0.5000
Bi1 0.7500 0.7500 0.7500
Sb1 0.2500 0.2500 0.2500
O1 0.0165 0.0165 0.4835
O2 0.0165 0.4835 0.0165
O3 0.0165 0.4835 0.4835
O4 0.4835 0.0165 0.0165
O5 0.4835 0.0165 0.4835
O6 0.4835 0.4835 0.0165

(2)
BaCaSmBiO6 | PBE | relaxed

Values from the calculation:
* relative energy among the computed polymorphs: 0.0 meV/atom
* DFT formation energy: -2.77 eV per atom
* total magnetization: 0.00 μB/cell
* MP2020-corrected energy: -139.78 eV/cell
* space-group type: P-1 (2)

Cell lengths 6.0392, 6.1356, 8.6396 Å; angles 89.87, 89.64, 89.89 degrees
Element x y z (fractional)
Ba1 0.0062 0.0371 0.2495
Ba2 0.9938 0.9629 0.7505
Ca1 0.4896 0.5406 0.2473
Ca2 0.5104 0.4594 0.7527
Sm1 0.0000 0.5000 0.0000
Sm2 0.5000 0.0000 0.5000
Bi1 0.0000 0.5000 0.5000
Bi2 0.5000 0.0000 0.0000
O1 0.1171 0.5079 0.7385
O2 0.1980 0.7814 0.4585
O3 0.2156 0.8002 0.0334
O4 0.2875 0.3088 0.4342
O5 0.3150 0.2926 0.0612
O6 0.4290 0.0678 0.7605
O7 0.5710 0.9322 0.2395
O8 0.6850 0.7074 0.9388
O9 0.7125 0.6912 0.5658
O10 0.7844 0.1998 0.9666
O11 0.8020 0.2186 0.5415
O12 0.8829 0.4921 0.2615

(3)
BaCaSmBiO6 | PBE | relaxed

Values from the calculation:
* relative energy among the computed polymorphs: 2.3 meV/atom
* DFT formation energy: -2.76 eV per atom
* total magnetization: 0.00 μB/cell
* MP2020-corrected energy: -279.47 eV/cell
* space-group type: P222 (16)

Cell lengths 8.6126, 8.6249, 8.6456 Å; angles 90.00, 90.00, 90.00 degrees
Element x y z (fractional)
Ba1 0.0000 0.0000 0.0000
Ba2 0.0000 0.0000 0.5000
Ba3 0.0000 0.5000 0.0000
Ba4 0.5000 0.5000 0.5000
Ca1 0.0000 0.5000 0.5000
Ca2 0.5000 0.0000 0.0000
Ca3 0.5000 0.0000 0.5000
Ca4 0.5000 0.5000 0.0000
Sm1 0.2553 0.2516 0.7490
Sm2 0.2553 0.7484 0.2510
Sm3 0.7447 0.2516 0.2510
Sm4 0.7447 0.7484 0.7490
Bi1 0.2565 0.2494 0.2515
Bi2 0.2565 0.7506 0.7485
Bi3 0.7435 0.2494 0.7485
Bi4 0.7435 0.7506 0.2515
O1 0.0108 0.2766 0.2119
O2 0.0108 0.7234 0.7881
O3 0.2059 0.3096 0.4894
O4 0.2059 0.6904 0.5106
O5 0.2197 0.0080 0.2848
O6 0.2197 0.9920 0.7152
O7 0.3030 0.2018 0.0101
O8 0.3030 0.7982 0.9899
O9 0.3058 0.4888 0.1991
O10 0.3058 0.5112 0.8009
O11 0.4913 0.2068 0.3147
O12 0.4913 0.7932 0.6853
O13 0.5087 0.2068 0.6853
O14 0.5087 0.7932 0.3147
O15 0.6942 0.4888 0.8009
O16 0.6942 0.5112 0.1991
O17 0.6970 0.2018 0.9899
O18 0.6970 0.7982 0.0101
O19 0.7803 0.0080 0.7152
O20 0.7803 0.9920 0.2848
O21 0.7941 0.3096 0.5106
O22 0.7941 0.6904 0.4894
O23 0.9892 0.2766 0.7881
O24 0.9892 0.7234 0.2119

(4)
BaCaSmBiO6 | PBE | relaxed

Values from the calculation:
* relative energy among the computed polymorphs: 118.9 meV/atom
____________

Task lighting, lighting for activities
Designed to guarantee free movement in space but also the right quantity and quality of light for talking, reading… using both floor lamps, such as COBALTO, NETTUNO, BEYRING,… and table lamps, such as DUCAS, LEXINGTON, GRAFITE,…
Accent lighting
To more specifically underline a space in which to draw attention to architectural details, furnishings of
particular value, with lamps such as KURSA, ATLAS, ALPHARD,…

== Materials data from another source follow ==
=====
(1)
Ba6Si6CN14: relaxed, PBE-GGA.

Cell: 16.5427 16.5427 5.5417 Å, 90.00 90.00 120.00°
Positions (direct):
Ba  0.5115  0.6833  0.5000
Ba  0.3167  0.8282  0.5000
Ba  0.1718  0.4885  0.5000
Ba  0.4899  0.1378  0.5000
Ba  0.8622  0.3521  0.5000
Ba  0.6479  0.5101  0.5000
Ba  0.5241  0.8405  0.0000
Ba  0.1595  0.6835  0.0000
Ba  0.3165  0.4759  0.0000
Ba  0.6528  0.1618  0.0000
Ba  0.8382  0.4910  0.0000
Ba  0.5090  0.3472  0.0000
Ba  0.8403  0.8278  0.5000
Ba  0.1722  0.0125  0.5000
Ba  0.9875  0.1597  0.5000
Ba  0.8244  0.0193  0.0000
Ba  0.9807  0.8051  0.0000
Ba  0.1949  0.1756  0.0000
Si  0.5505  0.9784  0.5000
Si  0.0216  0.5721  0.5000
Si  0.4279  0.4495  0.5000
Si  0.3547  0.1162  0.0000
Si  0.8838  0.2385  0.0000
Si  0.7615  0.6453  0.0000
Si  0.3552  0.2391  0.5000
Si  0.7609  0.1161  0.5000
Si  0.8839  0.6448  0.5000
Si  0.4282  0.9787  0.0000
Si  0.0213  0.4494  0.0000
Si  0.5506  0.5718  0.0000
Si  0.6872  0.9045  0.5000
Si  0.0955  0.7828  0.5000
Si  0.2172  0.3128  0.5000
Si  0.6886  0.7825  0.0000
Si  0.2175  0.9061  0.0000
Si  0.0939  0.3114  0.0000
C  0.0000  0.0000  0.0000
C  0.3333  0.6667  0.0000
C  0.6667  0.3333  0.5000
N  0.4443  0.0909  0.0000
N  0.9091  0.3534  0.0000
N  0.6466  0.5557  0.0000
N  0.6667  0.3333  0.2752
N  0.6667  0.3333  0.7248
N  0.6458  0.0914  0.5000
N  0.9086  0.5543  0.5000
N  0.4457  0.3542  0.5000
N  0.5753  0.8885  0.5000
N  0.1115  0.6868  0.5000
N  0.3132  0.4247  0.5000
N  0.7006  0.8502  0.2495
N  0.1498  0.8504  0.2495
N  0.7006  0.8502  0.7505
N  0.1496  0.2994  0.2495
N  0.1498  0.8504  0.7505
N  0.1496  0.2994  0.7505
N  0.3673  0.1848  0.2485
N  0.8152  0.1826  0.2485
N  0.3673  0.1848  0.7515
N  0.8174  0.6327  0.2485
N  0.8152  0.1826  0.7515
N  0.8174  0.6327  0.7515
N  0.3333  0.6667  0.2249
N  0.3333  0.6667  0.7751
N  0.0000  0.0000  0.2249
N  0.0000  0.0000  0.7751
N  0.7764  0.0196  0.5000
N  0.9804  0.7567  0.5000
N  0.2433  0.2236  0.5000
N  0.5759  0.6869  0.0000
N  0.3131  0.8890  0.0000
N  0.1110  0.4241  0.0000
N  0.4827  0.9661  0.2506
N  0.0339  0.5166  0.2506
N  0.4827  0.9661  0.7494
N  0.4834  0.5173  0.2506
N  0.0339  0.5166  0.7494
N  0.4834  0.5173  0.7494
N  0.7787  0.7578  0.0000
N  0.2422  0.0210  0.0000
N  0.9790  0.2213  0.0000

**Crystal system**: hexagonal
**Formation enthalpy at 0 K**: -1200.8 meV/atom

***

(2)
BaNa6ThC6O24: relaxed, PBE-GGA.

Cell: 8.5236 8.5236 8.5236 Å, 109.10 109.10 109.10°
Positions (direct):
Ba  0.5000  0.5000  0.5000
Na  0.9501  0.1963  0.4633
Na  0.1963  0.4633  0.9501
Na  0.4633  0.9501  0.1963
Na  0.0499  0.8037  0.5367
Na  0.8037  0.5367  0.0499
Na  0.5367  0.0499  0.8037
Th  0.0000  0.0000  0.0000
C  0.0154  0.3734  0.2153
C  0.3734  0.2153  0.0154
C  0.2153  0.0154  0.3734
C  0.9846  0.6266  0.7847
C  0.6266  0.7847  0.9846
C  0.7847  0.9846  0.6266
O  0.2981  0.0317  0.9368
O  0.0317  0.9368  0.2981
O  0.9368  0.2981  0.0317
O  0.7019  0.9683  0.0632
O  0.9683  0.0632  0.7019
O  0.0632  0.7019  0.9683
O  0.2894  0.2934  0.0901
=====

On the other hand, if it is true that a hotel is the sum of many private spaces, the hall represents, together
with the restaurant, the most important shared public space. And LUMIS knows all this well, with 30 years of specific experience in the sector, with services, products and materials at your disposal.
We await you at LUMIS to enrich your hotel through the right tools to get the best light.